### Exercise
Find the line further below that holds "60.00°,", then retype that line and all lines after it there.

### Excerpt
- - -
No. 1
Computed, not measured: an optimized crystal structure of Ba3BiSb at the GGA-PBE level of DFT.

Output
final energy: -3.247 eV per atom

Lattice parameters (Å, degrees): 6.5864 6.5864 6.5864 90.00 90.00 90.00
With the nearest neighbours (Å) after each atom.
Sites, in units of the cell vectors:
Ba: 0.0000 0.0000 0.5000  2 Bi 3.29
Ba: 0.0000 0.5000 0.0000  2 Bi 3.29
Ba: 0.5000 0.0000 0.0000  2 Bi 3.29
Bi: 0.0000 0.0000 0.0000  6 Ba 3.29
Sb: 0.5000 0.5000 0.5000  12 Ba 4.66

No. 2
Computed, not measured: an optimized crystal structure of Eu4Bi2O at the GGA-PBE level of DFT.

Output
final energy: -9.152 eV per atom

Lattice parameters (Å, degrees): 9.3357 9.3357 9.3357 149.34 149.34 43.91
With the nearest neighbours (Å) after each atom.
Sites, in units of the cell vectors:
Eu: 0.0000 0.5000 0.5000  2 O 2.47
Eu: 0.1676 0.1676 0.0000  1 O 2.90
Eu: 0.5000 0.0000 0.5000  2 O 2.47
Eu: 0.8324 0.8324 0.0000  1 O 2.90
Bi: 0.3614 0.3614 0.0000  9 Eu 3.36-3.53
Bi: 0.6386 0.6386 0.0000  9 Eu 3.36-3.53
O: 0.0000 0.0000 0.0000  4 Eu 2.47

* * * * *

An optimized crystal structure of Cs3PrF6, computed with meta-GGA r2SCAN.

a = 7.188 Å, b = 7.188 Å, c = 7.188 Å
α = 60.00°, β = 60.00°, γ = 60.00°
Fractional positions:
1 Cs 0.250 0.250 0.250
2 Cs 0.750 0.750 0.750
3 Cs 0.500 0.500 0.500
4 Pr 0.000 0.000 0.000
5 F 0.775 0.225 0.225
6 F 0.225 0.775 0.775
7 F 0.225 0.775 0.225
8 F 0.775 0.225 0.775
9 F 0.225 0.225 0.775
10 F 0.775 0.775 0.225

Values from the calculation:
- ΔH_f (0 K) (kJ/mol of formula units) = -3290

* * * * *

This record from Materials Project describes Mn2PO5 after structural relaxation. The functional is r²SCAN.

Structure (POSCAR):
```
Mn2PO5
1.0
-6.066 0.027 -0.030
1.217 7.200 -0.022
-0.195 -2.307 -8.107
Mn P O
8 4 20
Cartesian
-3.153 -0.325 -6.524
-0.101 -0.615 -6.444
-1.547 1.338 -4.485
-4.741 2.556 -1.024
-0.302 2.364 -7.135
-3.496 3.582 -3.675
-4.942 5.535 -1.716
-1.890 5.246 -1.636
-4.600 0.449 -3.551
-1.560 1.155 -1.351
-3.483 3.765 -6.808
-0.443 4.471 -4.609
-3.501 5.272 -6.383
-0.401 5.506 -5.769
-4.643 -0.586 -2.391
-1.542 -0.351 -1.776
-3.347 0.262 -4.405
-4.887 0.584 -7.234
-5.836 0.270 -4.420
-1.364 0.829 -6.510
-2.762 1.449 -0.462
-4.568 1.859 -2.901
-0.236 1.385 -0.572
-1.616 2.025 -2.603
-3.427 2.896 -5.557
-4.807 3.535 -7.587
-0.476 3.061 -5.258
-2.281 3.472 -7.697
-3.679 4.092 -1.649
0.793 4.650 -3.739
-0.156 4.336 -0.926
-1.696 4.659 -3.754
```

Energy relative to the lowest polymorph listed for this composition, meV/atom: 0.1
Crystal system: triclinic
Formation enthalpy at 0 K, meV/atom: -2322

* * * * *

1.
{
  "formula": "ThNb4O12",
  "functional": "PBE-GGA",
  "state": "relaxed",
  "lattice_angstrom": [[-2.893, 1.913, 4.340], [-4.779, -0.759, -2.851], [-1.096, -14.691, 5.745]],
  "species": ["Nb", "Nb", "Nb", "Nb", "Nb", "Nb", "Nb", "Nb", "O", "O", "O", "O", "O", "O", "O", "O", "O", "O", "O", "O", "O", "O", "O", "O", "O", "O", "O", "O", "O", "O", "O", "O", "Th", "Th"],
  "fractional_positions": [[0.761, 0.000, 0.128], [0.239, 0.500, 0.628], [0.738, 0.000, 0.631], [0.239, 0.500, 0.372], [0.738, 0.000, 0.369], [0.262, 0.500, 0.869], [0.262, 0.500, 0.131], [0.761, 0.000, 0.872], [0.682, 0.000, 0.750], [0.682, 0.000, 0.250], [0.195, 0.500, 0.500], [0.513, 0.266, 0.099], [0.991, 0.258, 0.132], [0.991, 0.258, 0.868], [0.991, 0.742, 0.868], [0.487, 0.234, 0.401], [0.009, 0.758, 0.368], [0.167, 0.500, 0.000], [0.318, 0.500, 0.750], [0.009, 0.242, 0.368], [0.513, 0.734, 0.901], [0.487, 0.766, 0.401], [0.318, 0.500, 0.250], [0.009, 0.758, 0.632], [0.805, 0.000, 0.000], [0.009, 0.242, 0.632], [0.487, 0.766, 0.599], [0.487, 0.234, 0.599], [0.513, 0.266, 0.901], [0.833, 0.000, 0.500], [0.991, 0.742, 0.132], [0.513, 0.734, 0.099], [0.239, 0.000, 0.500], [0.761, 0.500, 0.000]],
  "volume_a3_per_cell": 493.41,
  "sg": "No. 59"
}

***

2.
{
  "formula": "HfW2",
  "functional": "PBE-GGA",
  "state": "relaxed",
  "lattice_angstrom": [[-3.813, -3.813, 0.000], [-3.813, 0.000, -3.813], [0.000, -3.813, -3.813]],
- - -

### Outcome
α = 60.00°, β = 60.00°, γ = 60.00°
Fractional positions:
1 Cs 0.250 0.250 0.250
2 Cs 0.750 0.750 0.750
3 Cs 0.500 0.500 0.500
4 Pr 0.000 0.000 0.000
5 F 0.775 0.225 0.225
6 F 0.225 0.775 0.775
7 F 0.225 0.775 0.225
8 F 0.775 0.225 0.775
9 F 0.225 0.225 0.775
10 F 0.775 0.775 0.225

Values from the calculation:
- ΔH_f (0 K) (kJ/mol of formula units) = -3290

* * * * *

This record from Materials Project describes Mn2PO5 after structural relaxation. The functional is r²SCAN.

Structure (POSCAR):
```
Mn2PO5
1.0
-6.066 0.027 -0.030
1.217 7.200 -0.022
-0.195 -2.307 -8.107
Mn P O
8 4 20
Cartesian
-3.153 -0.325 -6.524
-0.101 -0.615 -6.444
-1.547 1.338 -4.485
-4.741 2.556 -1.024
-0.302 2.364 -7.135
-3.496 3.582 -3.675
-4.942 5.535 -1.716
-1.890 5.246 -1.636
-4.600 0.449 -3.551
-1.560 1.155 -1.351
-3.483 3.765 -6.808
-0.443 4.471 -4.609
-3.501 5.272 -6.383
-0.401 5.506 -5.769
-4.643 -0.586 -2.391
-1.542 -0.351 -1.776
-3.347 0.262 -4.405
-4.887 0.584 -7.234
-5.836 0.270 -4.420
-1.364 0.829 -6.510
-2.762 1.449 -0.462
-4.568 1.859 -2.901
-0.236 1.385 -0.572
-1.616 2.025 -2.603
-3.427 2.896 -5.557
-4.807 3.535 -7.587
-0.476 3.061 -5.258
-2.281 3.472 -7.697
-3.679 4.092 -1.649
0.793 4.650 -3.739
-0.156 4.336 -0.926
-1.696 4.659 -3.754
```

Energy relative to the lowest polymorph listed for this composition, meV/atom: 0.1
Crystal system: triclinic
Formation enthalpy at 0 K, meV/atom: -2322

* * * * *

1.
{
  "formula": "ThNb4O12",
  "functional": "PBE-GGA",
  "state": "relaxed",
  "lattice_angstrom": [[-2.893, 1.913, 4.340], [-4.779, -0.759, -2.851], [-1.096, -14.691, 5.745]],
  "species": ["Nb", "Nb", "Nb", "Nb", "Nb", "Nb", "Nb", "Nb", "O", "O", "O", "O", "O", "O", "O", "O", "O", "O", "O", "O", "O", "O", "O", "O", "O", "O", "O", "O", "O", "O", "O", "O", "Th", "Th"],
  "fractional_positions": [[0.761, 0.000, 0.128], [0.239, 0.500, 0.628], [0.738, 0.000, 0.631], [0.239, 0.500, 0.372], [0.738, 0.000, 0.369], [0.262, 0.500, 0.869], [0.262, 0.500, 0.131], [0.761, 0.000, 0.872], [0.682, 0.000, 0.750], [0.682, 0.000, 0.250], [0.195, 0.500, 0.500], [0.513, 0.266, 0.099], [0.991, 0.258, 0.132], [0.991, 0.258, 0.868], [0.991, 0.742, 0.868], [0.487, 0.234, 0.401], [0.009, 0.758, 0.368], [0.167, 0.500, 0.000], [0.318, 0.500, 0.750], [0.009, 0.242, 0.368], [0.513, 0.734, 0.901], [0.487, 0.766, 0.401], [0.318, 0.500, 0.250], [0.009, 0.758, 0.632], [0.805, 0.000, 0.000], [0.009, 0.242, 0.632], [0.487, 0.766, 0.599], [0.487, 0.234, 0.599], [0.513, 0.266, 0.901], [0.833, 0.000, 0.500], [0.991, 0.742, 0.132], [0.513, 0.734, 0.099], [0.239, 0.000, 0.500], [0.761, 0.500, 0.000]],
  "volume_a3_per_cell": 493.41,
  "sg": "No. 59"
}

***

2.
{
  "formula": "HfW2",
  "functional": "PBE-GGA",
  "state": "relaxed",
  "lattice_angstrom": [[-3.813, -3.813, 0.000], [-3.813, 0.000, -3.813], [0.000, -3.813, -3.813]],